Homework #3 Wireless Network for ABC Corporation Overview This assignment is for you to complete a wireless network design for a small company. You will place a number of network elements on the diagram and label them appropriately. A network diagram is important to communicate the design features of a network between network administrators, system […]
Assignment 1 PowerPoint Presentation!!!! An action plan is a written strategy used to achieve outlined goals. For the purposes of this assignment, the action plan will be created using PowerPoint. An action plan includes the components listed below, and you may refer to page 237 in the textbook for additional guidance. State the goal, which […]
Absorption versus Variable Costing There are several ways a company can allocate overhead costs to products produced or services provided. Two of these methods are absorption costing and variable costing. This assignment will allow you to explore the two methods of costing and compare/contrast the different uses of each costing system. Using […]
Answer: [removed] President Lincoln’s main goal in the Civil War was to
eliminate slavery in all territory controlled by the United States.
a. true
b. false
8 Answer: [removed] Both the Union and the Confederacy used African American
soldiers during the Civil War.
a. true
**Between two parts of the text: molecular data**
+++
# 1
{
  "formula": "C4H13N2O",
  "method": "wB97M-V/def2-TZVPD",
  "total_charge": 1,
  "gap_ev": 9.10,
  "energy_ev": -9379.0711,
  "e_above_lowest_kj_mol": 242.4,
  "species": ["H", "H", "N", "H", "H", "H", "H", "C", "H", "H", "C", "O", "N", "C", "C", "H", "H", "H", "H", "H"],
  "xyz": [[-2.51, -1.38, 0.26], [2.21, 1.28, -2.38], [1.23, 1.10, -2.20], [2.10, 2.43, 3.72], [0.49, -1.93, 0.12], [1.94, 0.13, -0.54], [-0.17, -0.92, 1.37], [-1.63, -2.01, 0.11], [2.53, 1.00, 3.77], [-1.89, 0.65, -1.56], [-0.16, -0.08, -0.61], [1.97, 1.60, 3.26], [-1.33, 0.83, -0.72], [-0.32, -1.24, 0.33], [1.02, 0.31, -1.10], [-1.89, 0.76, 0.13], [-1.57, -2.93, 0.67], [-1.71, -2.25, -0.95], [-0.98, 1.80, -0.67], [0.68, 0.85, -3.01]]
}

---

# 2
{
  "formula": "C4H13N2O",
  "method": "wB97M-V/def2-TZVPD",
  "total_charge": 1,
  "smiles": "NCC[C@H]([NH3+])CO",
  "gap_ev": 10.86,
  "energy_ev": -9380.0513,
  "e_above_lowest_kj_mol": 147.9,
  "species": ["H", "H", "H", "H", "H", "H", "C", "H", "H", "H", "N", "H", "C", "C", "O", "C", "N", "H", "H", "H"],
  "xyz": [[0.25, 0.15, 2.01], [-0.94, -0.37, -1.33], [-1.44, 1.39, 0.02], [-2.74, -1.01, 1.04], [3.15, 1.02, -1.19], [2.34, -1.24, 0.18], [-0.23, -0.07, 1.06], [-3.44, 0.15, 0.18], [2.53, 0.43, 0.77], [0.56, -0.13, -2.14], [0.07, -0.56, -1.35], [-1.93, 1.27, 1.69], [-1.57, 0.67, 0.84], [0.65, 0.13, -0.15], [2.74, 0.15, -1.26], [2.12, -0.19, -0.02], [-2.55, -0.31, 0.33], [-0.49, -1.13, 1.13], [0.29, -1.55, -1.42], [0.65, 1.19, -0.37]]
}

---

# 3
{
  "formula": "C4H13N2O",
  "method": "wB97M-V/def2-TZVPD",
  "total_charge": 1,
  "gap_ev": 10.65,
  "energy_ev": -9379.4613,
  "e_above_lowest_kj_mol": 204.8,
  "species": ["H", "H", "H", "H", "N", "C", "H", "C", "C", "C", "H", "H", "H", "H", "N", "O", "H", "H", "H", "H"],
  "xyz": [[0.37, -3.24, 0.19], [0.26, -3.00, 1.86], [-1.44, -1.53, 0.28], [-1.07, -1.17, 1.76], [1.19, 2.07, 0.94], [0.46, -2.45, 0.94], [2.17, 2.33, 0.89], [0.06, 0.02, 0.41], [1.05, 0.66, 1.02], [-0.53, -1.30, 0.82], [-1.61, 0.61, -4.17], [0.83, 2.54, 1.77], [-0.74, 0.97, -1.32], [-1.86, 0.93, -0.02], [-0.89, 0.95, -0.29], [-0.90, 0.72, -3.53], [1.82, 0.06, 1.49], [1.46, -2.08, 1.05], [-0.17, 1.04, -4.07], [-0.46, 1.87, -0.04]]
}

---

# 4
{
  "formula": "C4H13N2O",
  "method": "wB97M-V/def2-TZVPD",
  "total_charge": 1,
  "gap_ev": 4.64,
  "energy_ev": -9366.8665,
  "e_above_lowest_kj_mol": 1420.0,
  "species": ["H", "H", "N", "C", "C", "H", "H", "H", "H", "H", "H", "H", "H", "H", "O", "H", "C", "H", "C", "N"],
  "xyz": [[0.49, -0.15, -1.64], [3.83, -0.30, 1.75], [-2.84, 0.74, 0.40], [-2.11, -0.34, -0.14], [-0.82, -0.82, 0.26], [1.46, -1.53, -0.13], [-0.89, -1.44, 1.18], [-2.35, 1.60, 0.15], [-0.33, 1.10, 0.78], [-2.84, -1.17, -0.29], [1.73, 1.15, -0.95], [-0.84, 1.20, -1.45], [1.05, 0.28, 1.20], [-1.17, -0.12, -1.06], [3.13, 0.00, 1.15], [2.91, -0.64, -0.15], [0.25, 0.22, 0.43], [-3.79, 0.86, 0.04], [1.12, 0.26, -0.82], [2.02, -0.89, -0.72]]
}

~~~~~

[1]
+++
b. false
9 Answer: [removed] A series of Union victories […]
1 review video World religions Buddhism World Religions: Buddhism https://www.youtube.com/watch?time_continue=1&v=uSf-zbOQXC4&feature=emb_title 2 Read Chapters 5, 6, of your text. Choose one of the points below to discuss in a short essay. Online assignment help tutors – Discuss the life of the Buddha. Assignment Help – Summarize the teachings of Buddha and the role of […]
Book Criminal Justice Theory in Practice by Rajub Bhowmik 2020 Question 1: Read Chapter 3: Compstat in Fighting Crime and write a chapter summary (minimum 350 words), see instructions below. 100 points Question 2: Read Chapter 4: Kansas City Preventive Patrol and Kansas City Gun Experiment and write a chapter summary (minimum 350 words), […]
The Software Engineering Institute, SEI is located at Carnegie Mellon University and is the brain trust for CMMI, “Capability Maturity Model Integration”. It is a process improvement methodology which has grown in popularity and usage. So far CMMI has been most widely applied in software and systems engineering organizations. Below are a couple of URL’s […]
INSTRUCTION SHEET for Assignment 2–with key details: HIS105_Assignment 2_Instructions_Dr_Stansbury.docx WRITING GUIDE for Assignment 2: HIS105_Writing_Guide_Assmt_2.docx (tip: print this out) SOURCES AND TIPS sheet for Assignment 2: Sources and Tips for Assignment 2_HIS105.docx Assignment 2: Economic Approaches in the Age of Industrialization (1870-1940) Due Week 6 and worth 120 points In Assignment 2, we ask you to choose […]
Assessment 1: Interpreting Graphical Representations of Data in Articles or Reports Locate any report or periodical article that contains at least two different graphical representations of data or use one of the supplied articles. Interpret the graphs and present your findings in a brief PowerPoint presentation (6 slides). You may choose to explain the points […]
**Quantum chemistry results from another source follow:**
[1]
This record from OMol25 describes 6 unconnected molecules or ions with the total composition C27H30N2O18 in a non-equilibrium geometry. The level of theory is the ωB97M-V functional and the def2-TZVPD basis.

XYZ file:
```
77
Properties=species:S:1:pos:R:3:mulliken_charge:R:1
C -0.517 -2.497 2.479 -1.304
C -0.850 -1.553 1.359 0.706
C -2.298 -1.279 1.085 -1.021
N 0.127 -1.052 0.684 -0.239
C 0.255 0.274 0.532 1.060
C 0.161 1.314 1.387 -0.330
C -0.176 1.268 2.812 0.497
C 0.753 1.086 3.812 -0.072
C 0.349 1.048 5.114 -0.495
N -0.889 1.132 5.602 -0.525
C -1.747 1.286 4.594 -0.893
C -1.478 1.377 3.260 0.213
C 0.477 2.544 0.619 -0.156
O 0.326 3.697 0.924 -0.567
O 1.049 2.144 -0.617 -0.236
C 0.626 0.870 -0.814 -0.073
O 0.526 0.281 -1.855 -0.549
H -0.229 -3.447 2.024 0.329
H 0.319 -2.138 3.065 0.312
H -1.415 -2.687 3.062 0.518
H -2.476 -1.275 0.012 0.037
H -2.683 -0.377 1.549 0.156
H -2.884 -2.104 1.486 0.575
H 1.799 0.973 3.569 0.490
H 1.129 0.936 5.861 0.401
H -2.791 1.345 4.886 0.397
H -2.283 1.534 2.562 0.662
O -4.522 -2.820 -1.383 -0.548
C -3.851 -2.475 -2.300 0.726
O -3.311 -3.312 -3.214 -0.349
C -2.773 -2.512 -4.279 -0.083
C -2.530 -1.187 -3.596 0.088
O -3.523 -1.184 -2.565 -0.363
H -1.866 -2.949 -4.677 0.025
H -3.513 -2.444 -5.077 0.231
H -1.541 -1.126 -3.135 0.067
H -2.662 -0.337 -4.262 0.259
O -0.735 -3.692 -6.424 -0.574
C 0.356 -3.224 -6.390 0.674
O 1.499 -3.939 -6.267 -0.320
C 2.598 -3.051 -6.497 -0.340
C 2.002 -1.702 -6.164 -0.096
O 0.619 -1.896 -6.468 -0.302
H 3.443 -3.310 -5.864 0.303
H 2.901 -3.129 -7.543 0.271
H 2.099 -1.450 -5.106 0.078
H 2.420 -0.895 -6.759 0.317
O 0.734 4.134 -6.754 -0.521
C 0.539 3.706 -5.666 0.560
O -0.690 3.560 -5.105 -0.378
C -0.535 2.807 -3.899 -0.051
C 0.907 3.064 -3.536 0.160
O 1.511 3.294 -4.814 -0.374
H -1.231 3.149 -3.137 0.348
H -0.730 1.754 -4.111 0.044
H 1.031 3.957 -2.921 0.220
H 1.368 2.223 -3.036 0.039
O 2.056 -4.004 1.724 -0.529
C 2.731 -3.674 0.805 0.658
O 3.264 -4.530 -0.102 -0.340
C 3.810 -3.752 -1.169 -0.250
C 4.068 -2.421 -0.502 -0.301
O 3.076 -2.394 0.525 -0.264
H 4.714 -4.214 -1.560 0.301
H 3.070 -3.684 -1.970 0.211
H 5.056 -2.369 -0.040 0.256
H 3.949 -1.577 -1.178 0.255
O 0.144 5.365 10.649 -0.509
C -0.405 4.889 9.714 0.644
O -1.359 5.518 8.979 -0.337
C -1.610 4.725 7.816 -0.328
C -1.173 3.349 8.258 0.123
O -0.168 3.642 9.233 -0.341
H -2.661 4.767 7.538 0.313
H -1.010 5.110 6.989 0.276
H -1.978 2.789 8.738 0.222
H -0.766 2.754 7.445 -0.060
```

## Properties
HOMO: -9.54 eV
LUMO: -0.99 eV
SMILES: CC(C)=NC1=C(c2ccncc2)C(=O)OC1=O.O=C1OCCO1.O=C1OCCO1.O=C1OCCO1.O=C1OCCO1.O=C1OCCO1

[2]
This record from OMol25 describes 8 unconnected molecules or ions with the total composition C14H27F4N3O14 in a non-equilibrium geometry. The level of theory is the ωB97M-V functional and the def2-TZVPD basis.

XYZ file:
```
62
Properties=species:S:1:pos:R:3:mulliken_charge:R:1
N -2.167 -1.324 -2.710 -0.213
H -3.012 -0.788 -2.844 0.383
H -1.709 -1.162 -1.825 0.213
H -1.533 -1.195 -3.485 0.355
Critical analysis of the article assigned using Gibbs’ Cycle within 3 hours. Link the article with course understanding from chapters 1 to 8 in the attached PDF text. The article topic will be given on 18th July 10:50 AM EST. Number of pages: 4 Format: Ace homework tutors – APA References: Not required since […]